-- Data --
- - -
ORCA calculation (the ωB97M-V functional and the def2-TZVPD basis) on a structure of composition C44H35HfN5O10S5Si at a distorted geometry.

The value obtained for the HOMO energy is -1.90 eV. The calculation puts the frontier orbital gap at 5.54 eV. As for the largest force on an atom: 1.37 eV/Å. As for the charge: -2. The calculated total energy comes out at -5052.44161 hartree. The energy above the lowest of the compared OMol25 structures with the same formula, charge and spin comes out at 10.97 kcal per mole.

The geometry in XYZ format:
```
101
Properties=species:S:1:pos:R:3:forces:R:3
Hf -0.9806 -0.3740 -1.4587 -0.89 -0.96 -0.40
C -1.7284 1.9790 3.7847 0.10 -0.09 -0.04
O -1.2222 0.6949 3.4447 -0.50 0.16 -0.20
C -0.0678 0.3068 4.0171 0.14 -0.12 0.00
C 0.7147 1.1291 4.8099 0.18 0.01 0.20
C 1.8881 0.6409 5.3831 -0.05 0.02 -0.02
C 2.2698 -0.6687 5.1605 -0.04 -0.09 -0.06
C 1.4883 -1.4868 4.3453 0.10 0.00 0.10
C 0.3245 -1.0178 3.7578 -0.05 -0.22 -0.17
N -0.4740 -1.8930 2.9695 -0.28 0.43 0.25
C -0.9932 -1.4699 1.6971 0.49 0.39 0.18
N -2.3169 -1.6330 1.6447 0.08 0.18 -0.33
C -3.3050 -1.1562 0.7510 0.11 -0.04 -0.06
C -3.0413 -0.6126 -0.5009 -0.30 0.18 0.41
C -4.1654 -0.1556 -1.2082 -0.08 -0.07 -0.04
C -5.4595 -0.2365 -0.7157 -0.11 0.01 0.06
C -5.6842 -0.8136 0.5320 -0.17 0.12 -0.18
C -4.6043 -1.2778 1.2478 -0.06 -0.09 -0.04
O -4.7843 -1.8768 2.4873 -0.28 -0.44 0.23
C -5.2663 -3.2215 2.3789 0.12 0.19 0.03
N -0.2310 -1.0037 0.7552 -0.02 -0.02 -0.22
C 1.1900 -1.0258 0.9711 -0.30 0.17 -0.02
C 1.8904 0.1602 0.8309 0.10 0.19 -0.04
C 3.2613 0.2188 1.0483 -0.01 0.05 -0.07
C 3.9567 -0.9331 1.3695 0.01 -0.06 -0.01
C 3.2740 -2.1369 1.4869 0.19 0.06 0.00
C 1.9033 -2.1837 1.2982 0.15 0.15 -0.17
O 1.2005 -3.3324 1.4808 -0.07 -0.73 -0.11
C 1.8230 -4.5575 1.1069 -0.07 0.12 -0.06
H -2.6058 2.1299 3.1635 -0.05 -0.03 -0.04
H -1.0039 2.7696 3.5840 -0.13 -0.16 0.08
H -2.0152 2.0126 4.8410 0.01 -0.03 0.00
H 0.4200 2.1572 4.9810 0.05 -0.12 -0.03
H 2.4976 1.2971 5.9961 -0.05 -0.06 -0.06
H 3.1854 -1.0563 5.5930 -0.06 0.00 -0.03
H 1.7953 -2.5094 4.1386 -0.01 0.12 0.04
H -0.0189 -2.7826 2.8302 0.15 -0.17 0.09
H -2.6908 -1.9217 2.5241 -0.18 -0.08 0.44
H -4.0282 0.2424 -2.2072 0.01 0.04 -0.02
H -6.2971 0.1396 -1.3011 0.15 -0.07 0.09
H -6.6856 -0.9045 0.9473 0.14 0.00 -0.03
H -6.2447 -3.2520 1.8931 0.00 0.06 -0.01
H -5.3549 -3.6176 3.3911 0.03 0.07 -0.03
H -4.5736 -3.8425 1.8017 0.02 0.07 0.01
H 1.3335 1.0495 0.5678 0.06 -0.06 0.00
H 3.7750 1.1689 0.9491 -0.06 -0.08 0.00
H 5.0303 -0.9072 1.5224 -0.06 0.00 0.00
H 3.8099 -3.0450 1.7392 -0.03 0.05 -0.03
H 1.0182 -5.2630 0.9171 -0.03 0.01 0.02
H 2.4709 -4.9317 1.9045 0.00 0.01 0.03
H 2.4032 -4.4369 0.1909 -0.02 0.06 -0.01
S -2.3371 -7.3626 -4.8968 0.01 0.07 0.03
C -2.0255 -5.8887 -4.1747 0.03 0.06 0.04
S -2.3973 -4.3689 -4.8662 -0.12 0.13 -0.21
C -1.8138 -3.3227 -3.5890 -0.33 0.31 -0.62
C -1.2889 -3.9568 -2.5406 0.35 -0.45 0.59
S -0.6453 -3.1823 -1.1295 0.04 0.51 0.13
S -1.2881 -5.7023 -2.6416 0.11 -0.13 0.20
S -1.9489 -1.6065 -3.7535 0.23 0.43 0.43
O -2.9187 2.5616 -3.8343 -0.11 0.01 -0.17
C -2.2355 2.2005 -2.9004 0.25 -0.33 0.24
O -1.6770 1.0252 -2.8152 -0.10 0.06 0.09
C -1.9566 3.1473 -1.7649 0.16 -0.17 0.18
C -2.4614 4.4073 -1.9056 -0.15 0.43 -0.01
C -2.2392 5.3833 -0.9399 -0.22 0.33 -0.26
C -1.4789 5.1032 0.1639 0.13 0.12 0.23
C -0.9357 3.8518 0.3199 0.16 -0.28 0.17
C -1.1769 2.7751 -0.6141 -0.04 0.15 0.17
O -0.7810 1.5874 -0.3949 0.25 -0.53 -0.01
N -0.1035 3.7000 1.5334 -0.58 0.32 -0.51
O -0.3184 4.4537 2.4763 -0.17 0.39 -0.02
O 0.7580 2.8657 1.5631 0.51 -0.63 -0.17
N -2.7966 6.7279 -1.1031 0.22 -0.45 0.11
O -2.6030 7.5546 -0.2290 0.16 0.07 0.31
O -3.4327 6.9639 -2.1078 -0.25 0.00 -0.44
H -3.0374 4.6303 -2.7892 -0.06 0.00 -0.08
H -1.2916 5.8552 0.9068 0.02 0.15 0.14
C 5.3133 -2.6609 -2.8865 -0.08 0.10 0.00
C 5.2324 -1.4767 -3.6189 -0.14 -0.01 0.03
C 4.0602 -0.7267 -3.6028 0.02 -0.09 0.09
C 2.9415 -1.1238 -2.8506 0.25 -0.06 0.08
C 3.0418 -2.3233 -2.1387 0.09 -0.01 -0.06
- - -

-- Wanted --
Next, print the calculation results above with every line break kept.

-- Reply --
ORCA calculation (the ωB97M-V functional and the def2-TZVPD basis) on a structure of composition C44H35HfN5O10S5Si at a distorted geometry.

The value obtained for the HOMO energy is -1.90 eV. The calculation puts the frontier orbital gap at 5.54 eV. As for the largest force on an atom: 1.37 eV/Å. As for the charge: -2. The calculated total energy comes out at -5052.44161 hartree. The energy above the lowest of the compared OMol25 structures with the same formula, charge and spin comes out at 10.97 kcal per mole.

The geometry in XYZ format:
```
101
Properties=species:S:1:pos:R:3:forces:R:3
Hf -0.9806 -0.3740 -1.4587 -0.89 -0.96 -0.40
C -1.7284 1.9790 3.7847 0.10 -0.09 -0.04
O -1.2222 0.6949 3.4447 -0.50 0.16 -0.20
C -0.0678 0.3068 4.0171 0.14 -0.12 0.00
C 0.7147 1.1291 4.8099 0.18 0.01 0.20
C 1.8881 0.6409 5.3831 -0.05 0.02 -0.02
C 2.2698 -0.6687 5.1605 -0.04 -0.09 -0.06
C 1.4883 -1.4868 4.3453 0.10 0.00 0.10
C 0.3245 -1.0178 3.7578 -0.05 -0.22 -0.17
N -0.4740 -1.8930 2.9695 -0.28 0.43 0.25
C -0.9932 -1.4699 1.6971 0.49 0.39 0.18
N -2.3169 -1.6330 1.6447 0.08 0.18 -0.33
C -3.3050 -1.1562 0.7510 0.11 -0.04 -0.06
C -3.0413 -0.6126 -0.5009 -0.30 0.18 0.41
C -4.1654 -0.1556 -1.2082 -0.08 -0.07 -0.04
C -5.4595 -0.2365 -0.7157 -0.11 0.01 0.06
C -5.6842 -0.8136 0.5320 -0.17 0.12 -0.18
C -4.6043 -1.2778 1.2478 -0.06 -0.09 -0.04
O -4.7843 -1.8768 2.4873 -0.28 -0.44 0.23
C -5.2663 -3.2215 2.3789 0.12 0.19 0.03
N -0.2310 -1.0037 0.7552 -0.02 -0.02 -0.22
C 1.1900 -1.0258 0.9711 -0.30 0.17 -0.02
C 1.8904 0.1602 0.8309 0.10 0.19 -0.04
C 3.2613 0.2188 1.0483 -0.01 0.05 -0.07
C 3.9567 -0.9331 1.3695 0.01 -0.06 -0.01
C 3.2740 -2.1369 1.4869 0.19 0.06 0.00
C 1.9033 -2.1837 1.2982 0.15 0.15 -0.17
O 1.2005 -3.3324 1.4808 -0.07 -0.73 -0.11
C 1.8230 -4.5575 1.1069 -0.07 0.12 -0.06
H -2.6058 2.1299 3.1635 -0.05 -0.03 -0.04
H -1.0039 2.7696 3.5840 -0.13 -0.16 0.08
H -2.0152 2.0126 4.8410 0.01 -0.03 0.00
H 0.4200 2.1572 4.9810 0.05 -0.12 -0.03
H 2.4976 1.2971 5.9961 -0.05 -0.06 -0.06
H 3.1854 -1.0563 5.5930 -0.06 0.00 -0.03
H 1.7953 -2.5094 4.1386 -0.01 0.12 0.04
H -0.0189 -2.7826 2.8302 0.15 -0.17 0.09
H -2.6908 -1.9217 2.5241 -0.18 -0.08 0.44
H -4.0282 0.2424 -2.2072 0.01 0.04 -0.02
H -6.2971 0.1396 -1.3011 0.15 -0.07 0.09
H -6.6856 -0.9045 0.9473 0.14 0.00 -0.03
H -6.2447 -3.2520 1.8931 0.00 0.06 -0.01
H -5.3549 -3.6176 3.3911 0.03 0.07 -0.03
H -4.5736 -3.8425 1.8017 0.02 0.07 0.01
H 1.3335 1.0495 0.5678 0.06 -0.06 0.00
H 3.7750 1.1689 0.9491 -0.06 -0.08 0.00
H 5.0303 -0.9072 1.5224 -0.06 0.00 0.00
H 3.8099 -3.0450 1.7392 -0.03 0.05 -0.03
H 1.0182 -5.2630 0.9171 -0.03 0.01 0.02
H 2.4709 -4.9317 1.9045 0.00 0.01 0.03
H 2.4032 -4.4369 0.1909 -0.02 0.06 -0.01
S -2.3371 -7.3626 -4.8968 0.01 0.07 0.03
C -2.0255 -5.8887 -4.1747 0.03 0.06 0.04
S -2.3973 -4.3689 -4.8662 -0.12 0.13 -0.21
C -1.8138 -3.3227 -3.5890 -0.33 0.31 -0.62
C -1.2889 -3.9568 -2.5406 0.35 -0.45 0.59
S -0.6453 -3.1823 -1.1295 0.04 0.51 0.13
S -1.2881 -5.7023 -2.6416 0.11 -0.13 0.20
S -1.9489 -1.6065 -3.7535 0.23 0.43 0.43
O -2.9187 2.5616 -3.8343 -0.11 0.01 -0.17
C -2.2355 2.2005 -2.9004 0.25 -0.33 0.24
O -1.6770 1.0252 -2.8152 -0.10 0.06 0.09
C -1.9566 3.1473 -1.7649 0.16 -0.17 0.18
C -2.4614 4.4073 -1.9056 -0.15 0.43 -0.01
C -2.2392 5.3833 -0.9399 -0.22 0.33 -0.26
C -1.4789 5.1032 0.1639 0.13 0.12 0.23
C -0.9357 3.8518 0.3199 0.16 -0.28 0.17
C -1.1769 2.7751 -0.6141 -0.04 0.15 0.17
O -0.7810 1.5874 -0.3949 0.25 -0.53 -0.01
N -0.1035 3.7000 1.5334 -0.58 0.32 -0.51
O -0.3184 4.4537 2.4763 -0.17 0.39 -0.02
O 0.7580 2.8657 1.5631 0.51 -0.63 -0.17
N -2.7966 6.7279 -1.1031 0.22 -0.45 0.11
O -2.6030 7.5546 -0.2290 0.16 0.07 0.31
O -3.4327 6.9639 -2.1078 -0.25 0.00 -0.44
H -3.0374 4.6303 -2.7892 -0.06 0.00 -0.08
H -1.2916 5.8552 0.9068 0.02 0.15 0.14
C 5.3133 -2.6609 -2.8865 -0.08 0.10 0.00
C 5.2324 -1.4767 -3.6189 -0.14 -0.01 0.03
C 4.0602 -0.7267 -3.6028 0.02 -0.09 0.09
C 2.9415 -1.1238 -2.8506 0.25 -0.06 0.08
C 3.0418 -2.3233 -2.1387 0.09 -0.01 -0.06